1.
Material: SbOs2ClO
Method: DFT, PBE
State: optimized geometry

a = 5.0873 Å, b = 4.1252 Å, c = 5.0873 Å
α = 90.00°, β = 90.00°, γ = 90.00°
Closest atoms and distances in Å follow each position.
Fractional coordinates of all 5 atoms:
Sb: 0.0000 0.0000 0.0000  2 O 2.06
Os: 0.0000 0.0000 0.5000  2 Sb 2.54
Os: 0.5000 0.0000 0.0000  2 Sb 2.54
O: 0.0000 0.5000 0.0000  2 Sb 2.06
Cl: 0.5000 0.5000 0.5000  8 Os 3.27, 4 O 3.60

raw formation energy	1.70	eV/atom
size of the total moment	4.82	μB/f.u.
energy	-4.9813	eV per atom

---

2.
Material: Pu2CoRu
Method: DFT, PBE
State: optimized geometry

a = 5.5610 Å, b = 5.7197 Å, c = 5.7197 Å
α = 85.26°, β = 61.85°, γ = 118.15°
Closest atoms and distances in Å follow each position.
Fractional coordinates of all 8 atoms:
Pu: 0.5000 0.2826 0.7826  2 Pu 2.37
Pu: 0.8775 0.6887 0.8113  2 Pu 2.37
Pu: 0.1225 0.3113 0.1887  2 Pu 2.37
Pu: 0.5000 0.7174 0.2174  2 Pu 2.37
Co: 0.4999 0.1649 0.3351  1 Co 2.56, 4 Pu 2.70-2.79
Co: 0.5001 0.8351 0.6649  1 Co 2.56, 4 Pu 2.70-2.79
Ru: 0.0000 0.2500 0.7500  8 Pu 2.79-2.90, 4 Co 2.97
Ru: 0.0000 0.7500 0.2500  8 Pu 2.79-2.90, 4 Co 2.97

size of the total moment	0.00	μB/f.u.
formation enthalpy at 0 K	66	kJ/mol of formula units
energy	-11.0896	eV per atom

---

3.
Material: Rb2Ho2HfS6
Method: DFT, PBE
State: optimized geometry

a = 6.7611 Å, b = 6.7611 Å, c = 8.2024 Å
α = 98.18°, β = 98.18°, γ = 119.64°
Closest atoms and distances in Å follow each position.
Fractional coordinates of all 11 atoms:
Rb: 0.8300 0.1700 0.0000  6 S 3.33-3.40
Rb: 0.1700 0.8300 0.0000  6 S 3.33-3.40
Ho: 0.3334 0.6666 0.5000  6 S 2.73-2.74
Ho: 0.6666 0.3334 0.5000  6 S 2.73-2.74
Hf: 0.0000 0.0000 0.5000  6 S 2.58
S: 0.7487 0.7487 0.6836  1 Hf 2.58, 2 Ho 2.73
S: 0.0633 0.3792 0.6847  1 Hf 2.58, 2 Ho 2.73-2.74
S: 0.2513 0.2513 0.3164  1 Hf 2.58, 2 Ho 2.73
S: 0.3792 0.0633 0.6847  1 Hf 2.58, 2 Ho 2.73-2.74
S: 0.9367 0.6208 0.3153  1 Hf 2.58, 2 Ho 2.73-2.74
S: 0.6208 0.9367 0.3153  1 Hf 2.58, 2 Ho 2.73-2.74

raw formation energy	-1.81	eV/atom
size of the total moment	0.00	μB/f.u.
energy	-5.9751	eV per atom

---

4.
Material: La2Tb5Pr2
Method: DFT, PBE
State: optimized geometry

a = 3.5200 Å, b = 9.9689 Å, c = 12.4740 Å
α = 133.74°, β = 98.11°, γ = 90.00°
Closest atoms and distances in Å follow each position.
Fractional coordinates of all 9 atoms:
La: 0.8352 0.8914 0.6705  7 Tb 3.40-3.63, 2 La 3.52, 2 Pr 3.74
La: 0.1648 0.1086 0.3295  7 Tb 3.40-3.63, 2 La 3.52, 2 Pr 3.74
Tb: 0.6711 0.8015 0.3422  3 La 3.49-3.63, 2 Pr 3.51-3.60, 6 Tb 3.52-3.68
Tb: 0.3289 0.1985 0.6578  3 La 3.49-3.63, 2 Pr 3.51-3.60, 6 Tb 3.52-3.68
Tb: 0.8267 0.5194 0.6534  5 Tb 3.52-3.68, 3 La 3.56-3.60, 2 Pr 3.70
Tb: 0.1733 0.4806 0.3466  5 Tb 3.52-3.68, 3 La 3.56-3.60, 2 Pr 3.70
Tb: 0.0000 0.0000 0.0000  2 La 3.40, 4 Tb 3.52-3.55, 4 Pr 3.59
Pr: 0.4950 0.6779 0.9899  6 Tb 3.51-3.70, 3 Pr 3.52-3.72, 2 La 3.74
Pr: 0.5050 0.3221 0.0101  6 Tb 3.51-3.70, 3 Pr 3.52-3.72, 2 La 3.74

size of the total moment	0.00	μB/f.u.
formation enthalpy at 0 K	118	kJ/mol of formula units
energy	-4.5932	eV per atom

---

5.
Material: SrSnRh3
Method: DFT, PBE
State: optimized geometry

a = 4.9354 Å, b = 4.9354 Å, c = 4.9354 Å
α = 90.00°, β = 90.00°, γ = 90.00°
Closest atoms and distances in Å follow each position.
Fractional coordinates of all 5 atoms:
Sr: 0.5000 0.5000 0.5000  12 Rh 3.49
Rh: 0.0000 0.5000 0.0000  2 Sn 2.47
Rh: 0.0000 0.0000 0.5000  2 Sn 2.47
Rh: 0.5000 0.0000 0.0000  2 Sn 2.47
Sn: 0.0000 0.0000 0.0000  6 Rh 2.47

size of the total moment	0.69	μB/f.u.
formation enthalpy at 0 K	123	kJ/mol of formula units
energy	-5.2931	eV per atom

---

6.
Material: K3Be2H8
Method: DFT, PBE
State: optimized geometry

a = 5.4699 Å, b = 5.4699 Å, c = 7.4349 Å
α = 68.42°, β = 68.42°, γ = 60.00°
Closest atoms and distances in Å follow each position.
Fractional coordinates of all 13 atoms:
K: 0.0000 0.0000 0.0000  6 H 2.73
K: 0.7867 0.7867 0.6399  10 H 2.76-2.81
K: 0.2133 0.2133 0.3601  10 H 2.76-2.81
Be: 0.5735 0.5735 0.2796  4 H 1.44-1.49

The reader should copy the listing earlier on verbatim.

1.
Material: SbOs2ClO
Method: DFT, PBE
State: optimized geometry

a = 5.0873 Å, b = 4.1252 Å, c = 5.0873 Å
α = 90.00°, β = 90.00°, γ = 90.00°
Closest atoms and distances in Å follow each position.
Fractional coordinates of all 5 atoms:
Sb: 0.0000 0.0000 0.0000  2 O 2.06
Os: 0.0000 0.0000 0.5000  2 Sb 2.54
Os: 0.5000 0.0000 0.0000  2 Sb 2.54
O: 0.0000 0.5000 0.0000  2 Sb 2.06
Cl: 0.5000 0.5000 0.5000  8 Os 3.27, 4 O 3.60

raw formation energy	1.70	eV/atom
size of the total moment	4.82	μB/f.u.
energy	-4.9813	eV per atom

---

2.
Material: Pu2CoRu
Method: DFT, PBE
State: optimized geometry

a = 5.5610 Å, b = 5.7197 Å, c = 5.7197 Å
α = 85.26°, β = 61.85°, γ = 118.15°
Closest atoms and distances in Å follow each position.
Fractional coordinates of all 8 atoms:
Pu: 0.5000 0.2826 0.7826  2 Pu 2.37
Pu: 0.8775 0.6887 0.8113  2 Pu 2.37
Pu: 0.1225 0.3113 0.1887  2 Pu 2.37
Pu: 0.5000 0.7174 0.2174  2 Pu 2.37
Co: 0.4999 0.1649 0.3351  1 Co 2.56, 4 Pu 2.70-2.79
Co: 0.5001 0.8351 0.6649  1 Co 2.56, 4 Pu 2.70-2.79
Ru: 0.0000 0.2500 0.7500  8 Pu 2.79-2.90, 4 Co 2.97
Ru: 0.0000 0.7500 0.2500  8 Pu 2.79-2.90, 4 Co 2.97

size of the total moment	0.00	μB/f.u.
formation enthalpy at 0 K	66	kJ/mol of formula units
energy	-11.0896	eV per atom

---

3.
Material: Rb2Ho2HfS6
Method: DFT, PBE
State: optimized geometry

a = 6.7611 Å, b = 6.7611 Å, c = 8.2024 Å
α = 98.18°, β = 98.18°, γ = 119.64°
Closest atoms and distances in Å follow each position.
Fractional coordinates of all 11 atoms:
Rb: 0.8300 0.1700 0.0000  6 S 3.33-3.40
Rb: 0.1700 0.8300 0.0000  6 S 3.33-3.40
Ho: 0.3334 0.6666 0.5000  6 S 2.73-2.74
Ho: 0.6666 0.3334 0.5000  6 S 2.73-2.74
Hf: 0.0000 0.0000 0.5000  6 S 2.58
S: 0.7487 0.7487 0.6836  1 Hf 2.58, 2 Ho 2.73
S: 0.0633 0.3792 0.6847  1 Hf 2.58, 2 Ho 2.73-2.74
S: 0.2513 0.2513 0.3164  1 Hf 2.58, 2 Ho 2.73
S: 0.3792 0.0633 0.6847  1 Hf 2.58, 2 Ho 2.73-2.74
S: 0.9367 0.6208 0.3153  1 Hf 2.58, 2 Ho 2.73-2.74
S: 0.6208 0.9367 0.3153  1 Hf 2.58, 2 Ho 2.73-2.74

raw formation energy	-1.81	eV/atom
size of the total moment	0.00	μB/f.u.
energy	-5.9751	eV per atom

---

4.
Material: La2Tb5Pr2
Method: DFT, PBE
State: optimized geometry

a = 3.5200 Å, b = 9.9689 Å, c = 12.4740 Å
α = 133.74°, β = 98.11°, γ = 90.00°
Closest atoms and distances in Å follow each position.
Fractional coordinates of all 9 atoms:
La: 0.8352 0.8914 0.6705  7 Tb 3.40-3.63, 2 La 3.52, 2 Pr 3.74
La: 0.1648 0.1086 0.3295  7 Tb 3.40-3.63, 2 La 3.52, 2 Pr 3.74
Tb: 0.6711 0.8015 0.3422  3 La 3.49-3.63, 2 Pr 3.51-3.60, 6 Tb 3.52-3.68
Tb: 0.3289 0.1985 0.6578  3 La 3.49-3.63, 2 Pr 3.51-3.60, 6 Tb 3.52-3.68
Tb: 0.8267 0.5194 0.6534  5 Tb 3.52-3.68, 3 La 3.56-3.60, 2 Pr 3.70
Tb: 0.1733 0.4806 0.3466  5 Tb 3.52-3.68, 3 La 3.56-3.60, 2 Pr 3.70
Tb: 0.0000 0.0000 0.0000  2 La 3.40, 4 Tb 3.52-3.55, 4 Pr 3.59
Pr: 0.4950 0.6779 0.9899  6 Tb 3.51-3.70, 3 Pr 3.52-3.72, 2 La 3.74
Pr: 0.5050 0.3221 0.0101  6 Tb 3.51-3.70, 3 Pr 3.52-3.72, 2 La 3.74

size of the total moment	0.00	μB/f.u.
formation enthalpy at 0 K	118	kJ/mol of formula units
energy	-4.5932	eV per atom

---

5.
Material: SrSnRh3
Method: DFT, PBE
State: optimized geometry

a = 4.9354 Å, b = 4.9354 Å, c = 4.9354 Å
α = 90.00°, β = 90.00°, γ = 90.00°
Closest atoms and distances in Å follow each position.
Fractional coordinates of all 5 atoms:
Sr: 0.5000 0.5000 0.5000  12 Rh 3.49
Rh: 0.0000 0.5000 0.0000  2 Sn 2.47
Rh: 0.0000 0.0000 0.5000  2 Sn 2.47
Rh: 0.5000 0.0000 0.0000  2 Sn 2.47
Sn: 0.0000 0.0000 0.0000  6 Rh 2.47

size of the total moment	0.69	μB/f.u.
formation enthalpy at 0 K	123	kJ/mol of formula units
energy	-5.2931	eV per atom

---

6.
Material: K3Be2H8
Method: DFT, PBE
State: optimized geometry

a = 5.4699 Å, b = 5.4699 Å, c = 7.4349 Å
α = 68.42°, β = 68.42°, γ = 60.00°
Closest atoms and distances in Å follow each position.
Fractional coordinates of all 13 atoms:
K: 0.0000 0.0000 0.0000  6 H 2.73
K: 0.7867 0.7867 0.6399  10 H 2.76-2.81
K: 0.2133 0.2133 0.3601  10 H 2.76-2.81
Be: 0.5735 0.5735 0.2796  4 H 1.44-1.49